If you’re a retired educator who was previously covered under TRS healthcare plan, dental coverage through it may have been provided at a considerable expense. Once on Medicare however, much better coverage can be had at much less expense – many Medicare plans even feature $0 monthly premiums and often offer greater advantages than TRS-Care dental coverage!
Teacher Retirement System of Texas has long provided healthcare for teachers in Texas, known as TRS-Care. This state-run health care plan offers retirees 100% coverage minus deductibles at monthly premiums that range from $135-$1020 depending on family plans. Unfortunately, due to high co-pays and premiums some teachers have begun opting out in favor of cheaper Medicare plans which is putting TRS-Care at risk of an estimated $410 million shortfall in its next budget cycle.
**Between two parts of the page: data records**
'''
# 1
TbDyHgPd: theoretical PXRD pattern (a wavelength of 1.5418 Å), based on a crystal structure in Alexandria, relaxed with PBE.
Peak positions follow from Bragg's law for the DFT cell and can differ from measured ones.

Cell and atoms:
```
data_TbDyHgPd
_chemical_formula_sum 'Tb1 Dy1 Hg1 Pd1'
_cell_length_a 3.5937
_cell_length_b 3.5937
_cell_length_c 7.3662
_cell_angle_alpha 90.00
_cell_angle_beta 90.00
_cell_angle_gamma 90.00
_symmetry_space_group_name_H-M 'P 4 m m'
_symmetry_Int_Tables_number 99
loop_
_symmetry_equiv_pos_as_xyz
'x,y,z'
'-y,x,z'
'-x,-y,z'
'y,-x,z'
'-x,y,z'
'y,x,z'
'x,-y,z'
'-y,-x,z'
loop_
_atom_site_label
_atom_site_fract_x
_atom_site_fract_y
_atom_site_fract_z
Tb1 0.0000 0.0000 0.0000
Dy1 0.0000 0.0000 0.4593
Hg1 0.5000 0.5000 0.7278
Pd1 0.5000 0.5000 0.2325
```

Peak list (6 most intense, 2θ = 5–70°, by angle)
| 2θ (°) | I (rel.) |
| --- | --- |
| 34.88 | 100 |
| 35.32 | 50 |
| 49.50 | 8 |
| 50.81 | 18 |
| 62.26 | 17 |
| 63.12 | 36 |

=====

# 2
BaNd2Tl2: theoretical PXRD pattern (a wavelength of 1.5418 Å), based on a crystal structure in Alexandria, relaxed with PBE.
Peak positions follow from Bragg's law for the DFT cell and can differ from measured ones.

Cell and atoms:
```
data_BaNd2Tl2
_chemical_formula_sum 'Ba2 Nd4 Tl4'
_cell_length_a 7.5693
_cell_length_b 5.4072
_cell_length_c 9.3990
_cell_angle_alpha 90.00
_cell_angle_beta 113.72
_cell_angle_gamma 90.00
_symmetry_space_group_name_H-M 'P 1 21/m 1'
_symmetry_Int_Tables_number 11
loop_
_symmetry_equiv_pos_as_xyz
'x,y,z'
'-x,-y,-z'
'-x,y+1/2,-z'
'x,-y+1/2,z'
loop_
_atom_site_label
_atom_site_fract_x
_atom_site_fract_y
_atom_site_fract_z
Ba1 0.0953 0.2500 0.1883
Nd1 0.2690 0.7500 0.5375
Nd2 0.4532 0.7500 0.9111
Tl1 0.1648 0.2500 0.7367
Tl2 0.4299 0.7500 0.2645
```

Peak list (6 most intense, 2θ = 5–70°, by angle)
| 2θ (°) | I (rel.) |
| --- | --- |
| 12.78 | 19 |
| 25.51 | 26 |
| 30.65 | 100 |
| 31.48 | 27 |
| 33.10 | 73 |
| 35.43 | 35 |

=====

# 3
Ce6Si3Ge: theoretical PXRD pattern (a wavelength of 1.5418 Å), based on a crystal structure in Alexandria, relaxed with PBE.
Peak positions follow from Bragg's law for the DFT cell and can differ from measured ones.

Cell and atoms:
```
data_Ce6Si3Ge
_chemical_formula_sum 'Ce12 Si6 Ge2'
_cell_length_a 9.5015
_cell_length_b 6.7266
_cell_length_c 7.7736
_cell_angle_alpha 90.00
_cell_angle_beta 103.53
_cell_angle_gamma 90.00
_symmetry_space_group_name_H-M 'C 1 2/m 1'
_symmetry_Int_Tables_number 12
loop_
_symmetry_equiv_pos_as_xyz
'x,y,z'
'-x,-y,-z'
'-x,y,-z'
'x,-y,z'
'x+1/2,y+1/2,z'
'-x+1/2,-y+1/2,-z'
'-x+1/2,y+1/2,-z'
'x+1/2,-y+1/2,z'
loop_
_atom_site_label
_atom_site_fract_x
_atom_site_fract_y
_atom_site_fract_z
Ce1 0.1401 0.2061 0.3429
Ce2 0.1431 0.5000 0.9048
Si1 0.0000 0.5000 0.5000
Si2 0.1491 0.0000 0.7395
Ge1 0.0000 0.0000 0.0000
```

Peak list (6 most intense, 2θ = 5–70°, by angle)
| 2θ (°) | I (rel.) |
| --- | --- |
| 26.76 | 78 |
| 29.06 | 98 |
| 31.63 | 68 |
| 33.45 | 100 |
| 33.98 | 90 |
| 36.63 | 55 |

=====

# 4
'''
**The page goes on**
TRS officials warned lawmakers that, without intervention, the program could become insolvent by 2023. State contributions have not kept pace with rising health care costs for retirees and teacher pensions haven’t kept pace with rising salaries for new teachers, which exacerbates this problem.
Recently, Maryland has seen many teachers opting out of its TRS-Care health care plan in favor of more cost-effective Medicare plans. Furthermore, Maryland recently reduced its forecast for TRS-Care’s financial shortfall – but some educators argue this doesn’t go far enough.
Retired educators from across Texas gathered in Austin recently to inform lawmakers they need additional support in order to afford the rising costs of health care. Becky Amason, an elementary school teacher in Sanger who recently opted out of their TRS-ActiveCare plan due to its higher premium costs and $500 deductible was among them.
Monty Exter, President of the Association of Texas Professional Educators, stated his organization is hearing complaints from members about the cost of health care coverage. Exter advocated making changes so retirees have more choices between TRS-Care or purchasing individual plans; currently if an opt-out opts out again they cannot buy it back again.
### Here the page breaks off for data records
____________
Record 1
The following is a computed XRD peak list of HfZr2Al3FeCu2. It was derived from a DFT-relaxed cell (GGA-PBE, OQMD), using a wavelength of 1.5418 Å.
Neutral-atom scattering factors, no anomalous dispersion.

Main lines, in order of rising 2θ (5 to 70 degrees two-theta):
two_theta	I_rel
15.8	34.3
21.8	24.4
27.7	23.5
35.3	41.8
35.5	100.0
39.0	67.2
39.2	44.7
44.4	37.9

Cell and atoms:
Cell: 4.082 6.439 6.439 Å, 119.40 90.00 90.00°
Atoms (fractional coordinates):
Hf 0.000 0.000 0.000
Zr 0.000 0.188 0.595
Zr 0.000 0.595 0.188
Al 0.500 0.357 0.357
Al 0.500 0.595 0.835
Al 0.500 0.835 0.595
Fe 0.000 0.601 0.601
Cu 0.500 0.258 0.930
Cu 0.500 0.930 0.258

Record 2
The following is a computed XRD peak list of LaAl5FeCu. It was derived from a DFT-relaxed cell (GGA-PBE, OQMD), using a wavelength of 1.5418 Å.
Neutral-atom scattering factors, no anomalous dispersion.

Main lines, in order of rising 2θ (5 to 70 degrees two-theta):
two_theta	I_rel
15.4	33.2
24.9	43.4
30.3	34.1
31.6	100.0
34.9	71.8
35.7	44.9
45.1	43.6
48.2	50.6

Cell and atoms:
Cell: 6.354 6.354 6.354 Å, 143.37 111.44 80.33°
Atoms (fractional coordinates):
La 0.000 0.000 0.000
Al 0.157 0.339 0.817
Al 0.459 0.653 0.805
Al 0.497 0.997 0.500
Al 0.522 0.339 0.183
Al 0.848 0.653 0.195
Fe 0.261 0.761 0.500
Cu 0.742 0.242 0.500

Record 3
The following is a computed XRD peak list of LiAl2FeCu4. It was derived from a DFT-relaxed cell (GGA-PBE, OQMD), using a wavelength of 1.5418 Å.
Neutral-atom scattering factors, no anomalous dispersion.

Main lines, in order of rising 2θ (5 to 70 degrees two-theta):
two_theta	I_rel
17.2	10.6
30.6	11.4
31.1	21.9
44.2	100.0
44.5	48.9
55.0	8.1
63.8	7.7
64.8	14.7

Cell and atoms:
Cell: 7.114 7.114 7.114 Å, 132.29 132.29 69.78°
Atoms (fractional coordinates):
Li 0.375 0.625 0.750
Li 0.625 0.375 0.250
Al 0.123 0.373 0.750
Al 0.373 0.123 0.250
Al 0.627 0.877 0.750
Al 0.877 0.627 0.250
Fe 0.125 0.875 0.250
Fe 0.875 0.125 0.750
Cu 0.000 0.252 0.252
Cu 0.000 0.748 0.748
Cu 0.252 0.000 0.752
Cu 0.252 0.500 0.252
Cu 0.500 0.252 0.752
Cu 0.500 0.748 0.248
Cu 0.748 0.000 0.248
Cu 0.748 0.500 0.748

Record 4
The following is a computed XRD peak list of ScAl2FeCu4. It was derived from a DFT-relaxed cell (GGA-PBE, OQMD), using a wavelength of 1.5418 Å.
Neutral-atom scattering factors, no anomalous dispersion.

Main lines, in order of rising 2θ (5 to 70 degrees two-theta):
two_theta	I_rel
16.6	2.9
25.9	3.7
29.9	10.0
42.9	100.0
53.2	2.3
56.2	1.2
62.1	5.2
62.3	9.6

Cell and atoms:
Cell: 7.316 7.316 7.316 Å, 131.91 131.91 70.37°
Atoms (fractional coordinates):
Sc 0.375 0.625 0.750
Sc 0.625 0.375 0.250
Al 0.130 0.380 0.750
Al 0.380 0.130 0.250
Al 0.620 0.870 0.750
Al 0.870 0.620 0.250
Fe 0.125 0.875 0.250
Fe 0.875 0.125 0.750
Cu 0.000 0.229 0.229
Cu 0.000 0.771 0.771
Cu 0.229 0.000 0.729
Cu 0.229 0.500 0.229
Cu 0.500 0.229 0.729
Cu 0.500 0.771 0.271
Cu 0.771 0.000 0.271
Cu 0.771 0.500 0.771

Record 5
____________
Even if you do not enroll in the state-run plan, Medicare Advantage plans offer dental and vision coverage for dental and vision needs. They typically have more extensive provider networks than TRS-Care health plans; along with preventive services they typically also cover basic restorative procedures like fillings and root canals.
Medicare Advantage dental and vision plans offer outstanding benefits at competitive rates, with some plans offering $0 monthly premiums or no deductibles at all. Some may also come equipped with prescription drug coverage and eyeglasses – make sure to compare all plans available in your area before making a decision!